Work out how many lines further down have the word "Ac" in them; a number is enough, please.

-- begin --
Record 1
An optimized crystal structure of ReNi2Br, computed with GGA-PBE.

Geometry as POSCAR:
```
ReNi2Br
1.0
-5.001 -1.655 2.909
3.265 -3.566 3.583
-0.360 0.528 5.906
Br Ni Re
2 4 2
Cartesian
-0.868 -2.610 3.246
1.019 -2.824 6.368
-2.893 -1.377 3.792
-1.733 -4.233 10.172
1.411 -2.275 4.030
-0.976 -1.501 6.803
-3.114 -1.869 6.031
0.000 0.000 0.000
```

Energy in eV per atom: -5.400
Relative energy among the computed polymorphs in meV/atom: 621
Space-group type: I-42d (122)

***

Record 2
An optimized crystal structure of MnTe2Pb, computed with GGA-PBE.

Geometry as POSCAR:
```
MnTe2Pb
1.0
-0.584 3.814 3.724
-0.740 -1.357 5.135
3.890 0.862 3.589
Te Mn Pb
2 1 1
Cartesian
0.000 0.000 0.000
0.641 0.830 3.112
1.283 1.660 6.224
1.924 2.490 9.336
```

Energy in eV per atom: -4.363
Space-group type: F-43m (216)

***

Record 3
An optimized crystal structure of ErInPt4, computed with GGA-PBE.

Geometry as POSCAR:
```
ErInPt4
1.0
-4.036 1.323 -3.322
-2.264 -3.766 -3.125
-5.010 -1.705 1.032
In Er Pt
1 1 4
Cartesian
-2.827 -1.037 -1.354
0.000 0.000 0.000
-5.936 -0.713 -1.824
-7.065 -2.591 -3.383
-5.052 -3.251 -1.726
-4.566 -1.740 -3.898
```

Energy relative to the elements in eV per atom: -0.81
Energy in eV per atom: -6.051
Space-group type: F-43m (216)

***

Record 4
An optimized crystal structure of Na4SrH6, computed with GGA-PBE.

Geometry as POSCAR:
```
Na4SrH6
1.0
-1.971 2.496 1.407
2.634 -2.825 4.403
12.635 10.455 -0.852
Na H Sr
8 12 2
Cartesian
10.293 10.049 0.886
6.014 2.567 3.868
0.997 0.012 1.375
7.284 7.559 1.089
3.005 0.077 4.071
6.232 4.344 1.022
12.302 10.115 3.583
7.066 5.782 3.936
4.207 1.611 3.033
5.057 4.658 3.116
9.091 8.515 1.924
8.902 6.835 4.640
2.309 1.565 0.458
-0.985 1.248 0.704
10.989 8.562 4.499
5.332 6.476 0.277
8.242 5.468 1.841
12.226 8.765 1.572
1.073 1.361 3.385
4.396 3.292 0.318
2.732 3.328 2.219
10.567 6.798 2.738
```

Energy in eV per atom: -2.733
Space-group type: Cmcm (63)

***

Record 5
An optimized crystal structure of Ac5Pb2O, computed with GGA-PBE.

Geometry as POSCAR:
```
Ac5Pb2O
1.0
-0.077 -7.706 -0.129
1.775 -0.140 7.499
-5.690 3.952 -2.538
Ac O Pb
5 1 2
Cartesian
1.258 -5.969 5.614
-1.524 -3.909 4.247
0.332 -5.897 1.703
1.298 -1.949 5.683
0.373 -1.877 1.771
-0.109 0.001 0.026
-1.565 -0.056 4.330
-2.491 -3.838 0.516
```

Energy in eV per atom: -4.840
Space-group type: I4mm (107)

***

Record 6
An optimized crystal structure of TbSn2Rh5, computed with GGA-PBE.

Geometry as POSCAR:
```
TbSn2Rh5
1.0
4.097 0.000 0.000
2.049 6.588 1.616
2.049 2.798 6.179
Tb Rh Sn
1 5 2
Cartesian
0.000 0.000 0.000
2.049 4.693 3.897
4.097 6.653 3.737
4.097 4.490 1.941
4.097 4.896 5.853
4.097 2.733 4.057
2.049 2.667 2.214
6.146 6.719 5.580
```

Energy relative to the elements in eV per atom: -0.43
Energy in eV per atom: -6.605
Space-group type: Immm (71)

***

Record 7
An optimized crystal structure of Ba2WAu, computed with GGA-PBE.

Geometry as POSCAR:
```
Ba2WAu
1.0
-0.840 5.187 -1.576
-4.290 1.238 -3.187
-4.216 2.843 2.058
W Ba Au
1 2 1
Cartesian
-7.010 6.951 -2.029
-2.337 2.317 -0.676
0.000 0.000 0.000
-4.674 4.634 -1.353
```

Energy relative to the elements in eV per atom: 0.92
Energy in eV per atom: -4.099
Relative energy among the computed polymorphs in meV/atom: 480
Space-group type: F-43m (216)

***

Record 8
An optimized crystal structure of K2BaUI8, computed with GGA-PBE.

Geometry as POSCAR:
```
K2BaUI8
1.0
-8.074 -0.168 0.999
-0.238 -5.482 -5.575
1.022 -7.206 7.050
I K U Ba
8 2 1 1
Cartesian
-2.306 -5.045 2.452
-1.061 -5.810 -2.666
-2.596 -1.232 -0.882
-4.983 -7.811 0.022
-4.694 -11.623 3.356
-0.480 -9.925 1.360
-6.810 -2.930 1.113
-6.229 -7.046 5.140
-3.899 -4.629 -0.532
-3.391 -8.226 3.006
0.000 0.000 0.000
0.511 -3.603 3.525
```

Energy in eV per atom: -3.563
Space-group type: P-1 (2)

***

Record 9
An optimized crystal structure of Na2MgFeSb, computed with GGA-PBE.

Geometry as POSCAR:
```
Na2MgFeSb
1.0
-1.363 2.394 5.163
4.375 -2.209 2.179
3.099 4.765 -1.391
Fe Na Sb Mg
1 2 1 1
Cartesian
-- stop --

1